Keeping critical information handy with Notes

Why use notes?

........
DFT (the ωB97M-V functional and the def2-TZVPD basis) results for a molecular structure, C22H40BrClGaINOP in a non-equilibrium geometry.

Each line ends with the Löwdin charge.
Positions of all 69 atoms, in Å:
C: -3.051 2.139 0.366  -0.10
H: 3.907 -1.018 1.642  0.14
C: -1.629 -2.627 0.317  -0.08
C: -2.192 -1.095 3.484  -0.08
H: -4.292 0.039 1.675  0.06
H: -3.950 -1.208 0.473  0.06
Ga: 1.579 1.707 0.513  0.22
C: 4.456 -0.481 -0.372  -0.05
C: -2.585 0.422 -1.304  -0.12
C: -2.180 1.394 3.316  -0.10
O: 2.719 0.476 0.982  -0.23
H: 1.238 -1.260 1.623  0.06
H: -2.521 -0.630 -1.568  0.06
H: 4.634 1.096 2.702  0.08
H: -0.485 -1.137 -1.696  0.05
C: 0.522 -2.056 1.438  -0.09
H: -0.189 0.541 4.687  0.09
C: -4.055 -0.138 0.630  -0.08
P: -1.148 0.173 1.048  0.93
H: 5.094 1.756 1.129  0.08
H: 0.686 -2.323 -1.147  0.10
H: -4.908 0.202 0.041  0.09
C: 0.313 -1.649 -5.923  -0.08
C: 4.994 0.839 1.708  -0.05
H: 0.555 0.964 3.141  0.06
Cl: 0.676 4.398 -0.444  0.41
N: -0.204 1.342 0.627  -0.25
H: 4.612 0.419 -0.965  0.07
H: -1.630 -2.019 3.372  0.06
H: 2.426 -1.597 -6.302  0.10
C: -0.541 -1.568 0.455  -0.58
H: -2.098 2.660 0.357  0.05
C: -2.815 0.634 0.192  -0.58
H: -2.302 -2.420 -0.511  0.06
H: 0.099 -2.401 2.376  0.06
H: 0.120 -2.420 -6.655  0.11
H: 0.484 -0.722 3.667  0.07
H: -1.289 0.311 -3.693  0.08
H: 1.064 -2.898 1.002  0.09
C: -0.725 -1.124 -5.170  -0.08
H: -1.163 -3.593 0.119  0.09
C: 1.854 -0.197 -4.796  -0.73
H: -3.147 -1.208 2.979  0.06
H: -1.726 2.242 2.806  0.08
H: 2.330 4.229 1.205  0.00
C: 0.815 0.360 -4.062  -0.66
H: 5.962 0.355 1.796  0.08
H: -1.667 0.935 -1.582  0.03
H: 5.385 -1.043 -0.338  0.08
C: 3.994 -0.099 1.033  -0.52
H: 0.939 -0.613 -0.795  0.02
C: 1.602 -1.189 -5.734  -0.13
H: -1.735 -1.488 -5.293  0.11
C: -0.476 -0.114 -4.259  -0.16
H: 3.691 -1.090 -0.849  0.07
H: -3.407 0.857 -1.876  0.09
Br: 3.636 0.381 -4.546  0.72
H: -2.390 -0.960 4.550  0.09
C: 2.130 3.681 0.285  -0.66
H: -2.127 1.576 4.390  0.09
C: -0.059 0.218 3.653  -0.09
H: 2.951 3.866 -0.414  0.00
H: -3.230 1.327 3.049  0.06
C: 0.182 -1.394 -0.881  -0.10
C: -1.420 0.115 2.962  -0.59
I: 1.134 1.943 -2.662  1.06
H: -3.649 2.517 -0.463  0.08
H: -2.217 -2.713 1.226  0.06
H: -3.580 2.377 1.282  0.06

Forces on the atoms, in the same order (eV/Å):
0.143 0.088 0.110
0.032 0.180 -0.137
-0.051 0.185 0.032
0.080 0.025 -0.157
-0.071 0.002 0.104
-0.027 -0.158 0.011
-0.814 1.415 0.070
-0.224 0.043 0.315
0.149 -0.062 0.054
0.044 0.042 -0.125
0.400 -1.018 0.424
0.200 -0.017 0.104
0.056 -0.103 -0.079
0.033 0.045 0.104
-0.061 0.061 -0.086
-0.006 0.139 0.128
-0.094 0.007 0.034
0.110 0.007 0.036
-0.305 -0.132 -0.059
0.063 0.074 -0.087
0.022 -0.138 0.032
-0.055 0.024 -0.048
-0.035 -0.050 0.046
-0.392 -0.255 -0.010
0.033 -0.054 0.157
-0.466 0.664 -0.262
0.785 -0.140 0.295
-0.016 0.078 -0.100
-0.005 -0.075 0.004
0.000 0.002 -0.013
-0.157 0.362 0.057
0.044 0.150 -0.020
0.158 -0.234 0.170
-0.097 0.020 -0.063
-0.027 0.002 0.120
0.009 -0.061 -0.029
0.050 -0.047 -0.024
-0.090 0.061 0.076
........
[Here the text continues]

As a custom installer, your job is to make your customers happy. However, you can lose a lot of ground if you or one of your techs forgets a key piece of information about the client's preferences. Whether it's losing the passcode to their gated community or ringing the doorbell during the baby's nap time, one bad experience can kill a lot of goodwill.

(Inserted here: calculated molecules)
~~~
# 1
Molecular formula: C21H56F16N12O24P2S4
Method: DFT, wB97M-V/def2-TZVPD

Geometry (Å):
1 C -27.824 -0.083 -14.794
2 C -28.660 -1.360 -14.367
3 O -29.502 -1.451 -13.467
4 N -28.355 -2.655 -15.111
5 H -27.350 -2.710 -15.197
6 H -28.612 -3.493 -14.610
7 C -29.222 -2.780 -16.372
8 H -27.021 -0.334 -15.487
9 H -27.497 0.577 -13.991
10 H -28.491 0.481 -15.447
11 H -28.904 -3.684 -16.891
12 H -29.342 -1.863 -16.950
13 H -30.168 -3.033 -15.894
14 C -23.816 11.526 -13.329
15 C -24.633 12.679 -14.018
16 O -24.227 13.762 -14.344
17 N -26.039 12.282 -14.340
18 H -26.296 11.536 -13.710
19 H -26.648 13.079 -14.221
20 C -26.188 11.810 -15.766
21 H -22.997 11.202 -13.971
22 H -24.435 10.679 -13.031
23 H -23.469 11.730 -12.316
24 H -25.791 10.797 -15.694
25 H -25.615 12.414 -16.470
26 H -27.212 11.719 -16.127
27 C -12.870 12.051 -6.422
28 C -12.949 11.155 -7.590
29 O -12.118 11.148 -8.501
30 N -14.085 10.137 -7.594
31 H -13.765 9.391 -8.196
32 H -14.296 9.671 -6.723
33 C -15.339 10.839 -8.124
34 H -13.831 12.532 -6.240
35 H -12.187 12.854 -6.699
36 H -12.482 11.613 -5.503
37 H -16.052 10.027 -8.268
38 H -15.089 11.362 -9.047
39 H -15.832 11.526 -7.437
40 C -20.831 3.909 1.901
41 C -19.807 4.089 0.812
42 O -20.237 4.245 -0.301
43 N -18.286 4.118 1.030
44 H -17.990 5.059 1.246
45 H -18.166 3.706 1.944
46 C -17.434 3.574 -0.175
47 H -21.698 3.325 1.593
48 H -21.067 4.884 2.327
49 H -20.310 3.385 2.703
50 H -16.406 3.523 0.183
51 H -17.547 4.296 -0.983
52 H -17.776 2.563 -0.399
53 C -16.529 1.184 -15.009
54 C -15.607 -0.041 -15.022
55 O -15.702 -0.864 -15.897
56 N -14.335 -0.020 -14.168
57 H -14.469 0.626 -13.403
58 H -14.229 -0.966 -13.831
59 C -13.156 0.518 -15.004
60 H -15.967 2.057 -15.342
61 H -16.902 1.283 -13.990
62 H -17.319 1.106 -15.756
63 H -13.217 1.580 -15.245
64 H -13.068 0.015 -15.967
65 H -12.373 0.284 -14.283
66 C -19.380 3.254 -7.330
67 C -20.164 3.233 -8.623
68 O -20.613 2.132 -9.024
69 N -20.647 4.618 -9.135
70 H -21.010 5.186 -8.382
71 H -19.826 5.150 -9.387
72 C -21.664 4.538 -10.282
73 H -19.149 2.248 -6.980
74 H -19.805 3.725 -6.443
75 H -18.436 3.778 -7.482
76 H -21.819 5.554 -10.645
77 H -22.595 4.109 -9.910
78 H -21.112 3.968 -11.029
79 C -19.313 -4.523 -7.462
80 C -19.468 -5.877 -8.177
81 O -20.522 -6.184 -8.789
82 N -18.278 -6.898 -8.083
83 H -18.242 -7.470 -8.915
84 H -17.391 -6.421 -8.155
85 C -18.336 -7.708 -6.713
86 H -19.114 -4.718 -6.408
87 H -20.239 -3.949 -7.479
88 H -18.594 -3.811 -7.868
89 H -19.378 -7.701 -6.391
90 H -17.738 -7.242 -5.930
91 H -18.091 -8.756 -6.883
92 P -15.243 -3.078 -2.767
93 F -16.361 -2.092 -3.418
94 F -14.163 -1.891 -3.102
95 F -15.336 -2.475 -1.279
96 F -14.115 -4.165 -2.267
97 F -16.458 -4.117 -2.267
98 F -15.179 -3.681 -4.249
99 P -20.162 7.774 -17.515
100 F -20.382 8.662 -18.853
101 F -20.874 6.529 -18.325
102 F -18.773 7.299 -18.235
103 F -19.933 6.727 -16.279
104 F -19.523 9.031 -16.719
105 F -21.666 8.208 -17.084
106 N -23.580 -3.389 -15.161
107 S -22.499 -2.439 -14.599
~~~
(Back to the page)

Avoid these problems by taking quality, useful notes in OvrC.

Where are the notes kept?

Each location has a dedicated Notes tab, found at the right, next to the Client Services tab.

In addition, each device has its own dedicated Notes tab. Click on any device, and you'll see the Notes tab (in addition to the Details, Configure, and Activities tabs).

Getting the most out of the notes feature

1: Create a template

Decide which information your company wants to capture, then create a structure for that data so all your notes are consistent. You can create this template in any word processor.

You also need to create an online place to hold this information so everyone at your company can access it easily. The best option is to create a special location for your company in OvrC as follows:

  • If you haven't done so yet, claim your own company as an OvrC customer.

  • Click your company's OvrC entry. At the top right, click the Menumenu button, and select Edit.

  • Scroll down and click Add Location. Name the location "Notes Template".

  • Click Save.

If needed, you can add two locations, one each for business and residential templates.

2: Format and save the template

From your company's dashboard, click the More button.

Select the Notes Template location, then click the Notes tab.

Copy the template from your word processor and paste it into the text box.

OvrC copies the formatting from many word processors, but if you need to, you can format the text right in OvrC. The drop-down at the top sets text heads and subheads to organize things. The buttons format text similar to most word processors. You can make text bold, italic, underlined, make numbered or bulleted lists, or remove all formatting. You can even add a hotlink to your notes by selecting text, clicking the link button, and filling in the URL.

Click Save when your template is complete.

3: Train your staff

Of course, best practices only work if everyone uses them. Train your staff to use the Notes feature properly.

  • Whenever a new location gets added, go to the text from the template, select it all, and copy.

# What comes next are records of molecules, not part of the text
____________
152
Properties=species:S:1:pos:R:3:forces:R:3:mulliken_charge:R:1 method="wB97M-V/def2-TZVPD" charge=-2 lumo_energy_ev=3.2 energy_ev=-147044.282 largest_force_ev_per_a=3.05 e_homo_ev=-0.56
Rb -0.15644 -0.59827 -0.23123 -1.25 -0.36 -1.19 0.900
C -2.38275 -6.93756 -0.20570 -0.10 -0.16 0.02 -1.083
O -2.41758 -5.56420 -0.42526 -0.12 0.54 0.08 -0.149
C -3.43398 -4.84148 0.20462 0.35 0.03 -0.21 0.201
C -4.54667 -5.43424 0.75320 0.12 -0.24 -0.06 -0.431
C -5.55324 -4.67277 1.34210 -0.25 0.00 0.10 -1.109
C -5.43623 -3.29444 1.33455 -0.30 -0.19 0.01 -0.168
C -4.33769 -2.67153 0.77112 0.28 -0.23 0.10 0.235
C -4.30520 -1.20157 0.62847 0.20 -0.17 0.21 -0.646
N -3.98219 -0.29030 1.44993 0.02 1.04 -1.52 -0.646
N -3.70633 -0.45569 2.74163 0.22 -0.45 1.15 -0.667
C -2.50751 -0.47692 3.20804 -1.02 0.04 -0.74 0.535
O -1.48499 -0.43530 2.28357 -0.33 0.02 -0.13 1.473
C -2.28946 -0.59040 4.62598 0.14 0.18 0.41 0.518
C -3.24636 -1.27718 5.35606 0.23 0.11 -0.29 -1.297
C -3.15746 -1.75798 6.65156 -0.64 0.01 0.23 -0.645
C -2.01911 -1.89812 7.47504 0.43 -0.14 0.10 -0.328
C -0.70756 -1.70927 7.18954 0.38 -0.06 0.31 -1.263
C -0.17149 -1.17049 5.90803 -0.04 -0.09 0.09 0.767
C -3.24022 -3.40945 0.21257 -0.67 -0.22 0.31 0.000
O -2.20874 -2.84930 -0.24423 0.76 0.38 -0.48 -0.096
H -1.47993 -7.31448 -0.69104 -0.02 0.03 0.03 0.241
H -2.33925 -7.16917 0.86646 -0.04 -0.06 -0.04 0.397
H -3.25297 -7.45057 -0.64384 0.07 -0.01 0.06 0.343
H -4.66770 -6.51026 0.72547 0.08 -0.04 0.02 0.299
H -6.41243 -5.17148 1.77624 0.00 0.09 0.02 0.311
H -6.23761 -2.68960 1.74417 0.03 0.08 0.08 0.387
H -4.59809 -0.82369 -0.35145 0.11 0.02 -0.10 0.572
H -4.16056 -1.49689 4.81897 -0.05 -0.05 0.00 0.348
H -4.06553 -2.18350 7.06583 -0.09 0.01 -0.02 0.257
H -2.22907 -2.27302 8.47596 0.03 -0.01 0.02 0.279
H 0.02331 -1.87349 7.97223 0.00 -0.01 0.16 0.274
H 0.82395 -0.73907 6.11326 -0.02 -0.08 0.01 0.293
C -0.66714 8.19432 3.59073 -0.12 -0.52 0.29 -0.777
S -0.96746 6.74478 4.64525 0.05 0.02 -0.17 -0.130
C -1.14086 5.51190 3.31204 0.05 0.32 0.33 0.210
C -1.11708 4.09705 3.85355 -0.05 0.06 -0.22 -1.950
C -1.30728 3.06580 2.73666 -0.35 0.19 0.46 0.103
N -0.13496 2.91240 1.87674 0.09 -0.57 -0.53 1.329
P 1.12352 1.75721 2.27706 -0.56 0.42 1.20 1.210
C 2.01792 2.83523 3.46723 0.36 -0.14 -0.16 0.492
C 2.67082 2.32501 4.58481 -0.05 -0.09 -0.04 -0.375
C 3.41666 3.15027 5.40668 0.12 0.05 0.14 -0.927
C 3.53671 4.49939 5.11885 0.07 0.05 0.09 -0.855
C 2.92619 5.01280 3.98656 0.07 0.14 0.04 -0.757
C 2.18893 4.18452 3.16444 -0.05 -0.06 -0.07 0.087
C 0.29136 0.60163 3.43551 0.29 0.24 -0.31 2.070
C -0.16029 -0.66805 2.75379 0.22 0.02 0.71 0.524
C -0.02896 -1.96753 3.51048 0.19 -0.23 -0.42 -0.915
C -0.00632 -2.19259 4.81708 0.25 0.07 0.11 -1.047
C -1.10090 -0.03377 5.37336 -0.33 0.03 0.02 -0.579
C -0.23745 0.91947 4.61676 0.24 -0.31 -0.06 -1.062
P -0.64448 2.59768 0.22446 -0.13 1.11 0.34 0.383
C -1.38166 4.28910 -0.03932 -0.21 -0.15 -0.15 0.924
C -2.72245 4.43004 -0.37001 0.12 -0.12 0.01 -0.178
____________
# The text goes on

  • Navigate back to the location's notes page, paste the text, then fill in the information. For the best results, be sure everyone knows to add birthdays, pet names, and other such information as you learn them.

Repeat this for any device to which you add notes.

This simple procedure ensures that every location your company handles has all necessary information, as well as extra data that can be used to create that personal touch. This ensures that your techs never seem unprepared, even if they'vethey're never been to the site before.